I try to explain the divine comedy part 1

Hey, guys, it’s me. today I’m gonna try to explain Dante’s Inferno.im not gonna do it all in one piece because it’s in a poem with a lot of old English. Also, note that Dantes Inferno was written in the 1300s and he was very bias of Greek heroes. I might not get all the details correct but I’m gonna try tackling anyway this here I go.

The story starts off with the main character Dante in a forest the forest is symbolic of sin and he is walking through it super depressed. I think he did some sin and was very depressed because he was about in his 30s and in the 1300s the maximum age was like 70 so he was like “Ugh *sob *sob I am halfway to death.” He was walking and saw a she-wolf a panther and I think a lion appeared to. Once again symbolic of sin. There was a rocky mountain and there was a person named Virgi appears and he isn’t really an angel he would be like a ghost in the story he`s kind of like a guardian of Dante.

 virgil kinda I drew it


Dante admired Virgil and Virgil said something like “In order to get saved I’m gonna show you through hell, purgatory, and heaven.” He also makes a point to mention that I can only guide you through hell and purgatory the rest of the way is from an angel called Beatrice. I think this is symbolic of human reason and human reason has no right to heaven I don’t know. So that’s the setup of the story.

They travel to hell for there the first obstacle. Dante and Virgil have to go through the first gate of hell and I need to mention that hell is a physical place and located under the holy city of Jerusalem, hell is shaped like a humongous funnel that goes into the center of the earth. and on the other side is mount purgatory.

Dante goes through vestivle which is not technically hell but the outskirts of hell and it’s like the nicest part of hell there’s buildings and everything but the punishment is no salvation from God so they can’t be saved by God and they will spend eternity there people go there when they die before Jesus christ was born and people who don’t follow Christianity.


Well that’s it for now until next time

Manga reveiw #1: Onepeice

Hello, it’s me I’m gonna start a new series called Manga review its a series where I review different kinds of manga and give an opinion on them. The Genre of most of them is gonna be shounen meaning printed in a shounen magazine.

Id likes to start off the series with one of my favorite Manga and franchise of all time it is called Onepeice by Eiichiro Oda. Before I talk about it here’s a bit of an early summary. One piece starts off in a tiny peaceful little village in the little village is a man called Luffy who wants to become the king of the pirates because he was inspired by a person names Shanks. When Luffy is 17 he goes on all sort of funny and cool adventures to find the greatest treasure of all the one piece. Hence the name one piece.

/www.deviantart.com Tondo007

The first thing I’m gonna talk about is the excellent work of characters that Oda puts in his series one of my favorites is Sanji he is the cook of the straw hat crew (The one with the blond hair.)and he is also a ladies man but he is also a prince of a kingdom  called Germa 66 which is one of the strongest nations in the North blue, a sea in the one piece world. He also rivals with a guy named Zoro the swordsman of the crew ( The guy with green hair.) who uses SANTORYU which is 3 sword style that can cut a building in half. See what I mean and that’s like a brief summary of it. Another thing I like about it is the world building in the series,

I would recommend it because of countless genres in the series like Drama, Action, Gag, Adventure and maybe even horror. right now as I’m writing this there are 930 chapters of it and its still going on i like everything about it I like the pacing, characterization, the worldbuilding, the Art, the gags, the suspense, the adventure, REUSING characters, Heck even the volume covers is what I enjoy and recommend one piece.



## Unrelated to this entry: data records
........
C25H48BrHfNO2P2 as an isolated structure in a non-equilibrium geometry, computed with the ωB97M-V functional and the def2-TZVPD basis.

Last column: Löwdin charge in e.
Cartesian coordinates (Å):
Hf 0.34429 0.91345 -0.15669  1.347
C 0.99196 0.14420 -2.03557  -0.156
O 1.42955 -0.20983 -3.08728  0.212
C 1.44940 2.63008 -0.71527  -0.011
O 1.99270 3.56196 -1.19651  0.293
P -1.94195 0.70194 -1.37776  1.016
C -3.40147 1.48186 -0.42836  -0.491
H -4.21541 1.77031 -1.11772  0.120
C -1.72679 1.90728 -2.80267  -0.514
H -0.88908 2.46053 -2.32908  0.068
C -2.79361 -0.79498 -2.17320  -0.487
H -3.02852 -1.38576 -1.26263  0.102
C 2.61812 -2.81615 0.09470  -0.503
P 2.29673 -1.03991 0.68310  1.075
H 3.53901 -1.69190 2.63069  0.133
H 1.69578 -3.27633 0.49130  0.097
C 3.98910 -0.31135 0.30132  -0.503
H 4.79534 -1.04011 0.51924  0.136
C -1.22878 1.37703 -4.14851  -0.066
H -1.96189 0.74235 -4.67439  0.097
H -0.35676 0.74764 -4.03899  0.034
H -0.87057 2.23484 -4.75511  0.127
C -2.93699 2.80737 -3.02784  -0.060
H -2.74626 3.52785 -3.83096  0.123
H -3.20890 3.37674 -2.14168  0.065
H -3.80296 2.20269 -3.32751  0.096
C -4.08055 -0.42110 -2.92346  -0.063
H -4.78411 0.16598 -2.32630  0.079
H -4.61175 -1.32466 -3.27482  0.131
H -3.82284 0.16358 -3.81758  0.079
C -1.95430 -1.67606 -3.10961  -0.085
H -2.39266 -2.68681 -3.14546  0.115
H -0.90370 -1.74284 -2.80694  0.050
H -2.04391 -1.34125 -4.16025  0.096
C -4.01485 0.41787 0.48604  -0.083
H -4.70157 -0.21463 -0.10344  0.098
H -4.52486 0.85146 1.35744  0.108
H -3.24348 -0.24524 0.88588  0.046
C -2.96361 2.76280 0.27449  -0.099
H -2.28886 2.61075 1.12656  0.049
H -3.83105 3.31832 0.64099  0.121
H -2.51882 3.45226 -0.45303  0.069
C 3.85838 -3.54853 0.65611  -0.059
H 3.93586 -3.57174 1.74350  0.079
H 4.79115 -3.11655 0.26116  0.097
H 3.82789 -4.60782 0.35305  0.122
C 2.63357 -3.05588 -1.41121  -0.102
H 3.59693 -2.78276 -1.85966  0.091
C 2.17244 -0.24798 3.35355  -0.129
H 1.79878 -2.57638 -1.92789  0.051
H 2.56813 -4.14901 -1.56462  0.117
C 1.59547 -2.57568 3.03029  -0.078
H 1.10104 -0.11947 3.45564  0.043
H 2.49615 -0.44692 4.38046  0.122
H 2.62377 0.67481 2.99908  0.052
C 2.47969 -1.43879 2.49289  -0.516
H 1.70762 -2.67838 4.11913  0.119
H 1.87288 -3.56078 2.65745  0.081
H 0.54082 -2.40637 2.77585  0.053
C 4.29190 0.92875 1.14005  -0.092
H 3.52123 1.70471 1.03210  0.056
H 5.19122 1.40214 0.72769  0.113
H 4.47442 0.70226 2.19752  0.096
C 4.03567 0.05720 -1.18686  -0.096
H 3.85440 -0.76234 -1.89015  0.071
H 5.04528 0.41730 -1.42044  0.121
H 3.36079 0.90701 -1.39384  0.041
H -1.29774 -3.46339 1.52278  0.027
H -1.94286 -3.22413 1.24790  0.035
Br -3.43700 0.08993 4.80969  0.892
C -1.85687 0.83712 3.96494  -0.569
C -1.40986 2.08277 4.42119  0.005
C -0.47569 2.75669 3.64855  0.023
C -0.01390 2.20447 2.45080  -0.152
N -0.46661 0.96971 2.00440  -0.132
C -1.29371 0.25838 2.84560  -0.159
H -1.79761 2.53190 5.29910  0.135
H -0.03804 3.72852 3.85805  0.148
H 0.77348 2.76208 1.89570  0.115
H -1.47023 -0.79506 2.56731  0.114

Properties
........


I don’t own any of these pictures




week 10 audit

Hey, guys, it’s me HMSethan here and I’m gonna do week 10 audit, let us get started

  • How many weeks of the challenge did you participate in?

I participated in 4 sbc weeks 8, 7, 6, and 5

  • How many posts did you write in the ten week period?

I wrote about 4 posts in the period

  • How many comments did you receive from classmates, teachers, or other visitors?

I got 1 from the outside and 1 from my fellow classmates

  • Which post did you enjoy writing the most and why?

the post I liked writing the most is a post called Money, Money, Money. I liked it because it was fun coming up with random ways to get money

  • Which web tools did you use to show creativity on your blog?

Not much I sometimes draw some pictures customary for my post

  • What are your plans for your blog now? Will you keep posting?

Yes, I will keep blogging the SBC weeks but that is pretty much it


  I drew this 🙂



In this interview, I interviewed my dad

  1. What were your first impressions of this blog?

My dad said this “The wallpaper looks funny especially the dog.”

2. What captured your attention?

This is what my dad said: “The thumbnails of the blog.”

3. What distracted you on the blog?

“Nothing really.”My dad said

4. What suggestions can you give me to improve my blog?

“Maybe have more posts and start doing more SBCS!!!!!!!!” my dad said


Well that’s it for this week seeya


week 8 celebrations

  1. Our whole family celebrates Christmas on December 25 we celebrate it for Jesus Christs birthday by hanging stockings and eating gingerbread cookies and giving out presents, My cousins and family come over for Christmas dinner. I had a special memory by getting my first ever nerf gun from Christmas.  I made this picture myself
  2.  My family also celebrates Thanksgiving in which we give thanks to the pilgrims and stuff. We celebrate it on November 22. It’s a big feast we have with turkey and mash potatoes.

3. My family celebrates the new year with a huge party on January 1st we use firecrackers and we stay up to  12 we also watch the fireworks and we celebrate it with family and friends.

     something like that

That’s what I think my family celebrates on the top of my head


Links: sketch.io


WEEK 7: Free choice

Hey guys for the Sbc week 7 and I’m gonna talk about what interests me chess.

Chess interests me cause of the puzzle with over 100 starting moves there’s a moving pattern to checkmate your opponent in 4 moves. Its also fun I used to go to a chess class and I played at least 2 hours of chess a day and it’s a way to get new friends.

I even traveled onetime in 5th grade, I went to Nashville, Tennessee and played there but I didn’t do so good. But it was still fun anyway me and my friends were doing all kinds of fun stuff. I also like it cause people to get so competitive when there doing chess and its fun when I beat them. I also like it because people get so cocky.

Drawing I made myself

That is why chess interests me ,

Science (SBC)

A is for Atoms: building block of matter

B is for bacteria: a large group of unicellular microorganisms

C is for chemistry: potions and stuff

D is for  definition: The meaning of something

E is for Endoplasmic reticulum: The shell of a cell

F is for factors: number or quantity

G is for granite: pencil

H is for the hypothesis:  A educated guess

I is for inference; A assumption

J is for Jupiter: a planet in the solar system

K is for kinetic energy: energy that a body possesses by virtue of being in motion.

L is for luna: moon

M is for math: sciences toolbox

N is for nocturnal: animals that can see at nice

O is for observation: observing

P is for physical science: force and motion

Q is for question: a sentence worded or expressed so as to elicit information.

R is for rocket: vehicle to fly into space

T is for technology:

U is for Uranus: 7th planet from the sun

v is for vessel:

w is for wing: to fly

x is for xylophone: to see the bones

y is for yellow: a primary color

z is for zoology: the study of  animals

this is a picture I made myself

I chose to do A-Z for the SBC because I thought it was the easiest, to be honest then I realized it’s not the SBC choice 4 is hard and my teacher said to do 3 paragraphs so here it is.



Money, Money, Money

DO you know what time it is, its MONAY  TIme BAybee. Money, Money, Money, Money, Money, Money time baybee.

So for week 9 I’m gonna be talking about some money and stuff. Well here it is, Today I’m gonna tell you how to earn some hard cold moolah. So first this is what you need to do. So if your ever short on cash read this blog.

So here is a list of 30 things you need to do to get some money

  1. Ask your mom
  2. Ask your dad
  3. Ask your grandma
  4. Ask your grandpa
  5. Ask your relatives
  6. Beg for money
  7. Play an instrument for the money
  8. PLay video games
  9. Become a streamer
  10. Beg for money
  11. Do stuff for money
  12. USe the bank
  13. win the lottery
  14. Sell your car
  15. Sell your house
  16. Sell your tv
  17. Become a youtuber
  18. Get a job
  19. Eat a TAco for money
  20.  Train your dog to get money
  21. Train your cat to get money
  22. Train your squirrel to get money
  23. Become a millionaire
  24.  Become a billionaire
  25.  Reduce
  26. Reuse
  27. Recycle
  28. Become a chess player and participate in the blitz tournament
  29. Collect stuff and sell it
  30.  Become The god of money]

Yeah, so that’s a lot of ways to get money but wait theres more you can get money by working hard and experience. Yeah so keep working hard even go to college so you get a better job

So here is my list of 30 and yeah i hope some of it helps you later in life if you have a struggle or in a pickle well thank you for reading it until next time


sbc WEEK 7

This is what I did for week 7

first off I did emmets blog, I commented on Sean’s blog, I commented on Morgans blog I also visited or the visiting activity his was interesting cause it was about water,

Second, I did the writing activity I did Inges  example

I read some of the people who I commented on and the people who commented on me.

What I enjoyed was commenting on peoples blog. What I disliked was all the posts I had to write for week 7

Well that’s it for week 7 until next time bye